Detail from photograph of the Bayeux Tapestry by Cundall & Co., 1873. Produced for the Department of Science and Art to be issued through the Arundel Society © Victoria and Albert Museum, London
Researchers at the Victoria and Albert Museum (V&A) in London have teamed up with officials in the city of Bayeux, France to work together and share expertise on the Bayeux Tapestry, deepening a relationship that started more than 150 years ago. Both organisations have signed a memorandum of understanding, opening up new avenues for research, curatorial and scientific exchange. 
The Bayeux Tapestry is an Medieval embroidery, 70m long and 50cm high. Created in the 1070s, the nine panels with 58 scenes depict events leading up to the Norman Conquest of England after the Battle of Hastings in 1066. The tapestry was probably commissioned by Bishop Odo, the half-brother of William the Conqueror, the Duke of Normandy.
The South Kensington museum was keen to make a copy of the Bayeux Tapestry in 1869 which involved careful negotiation between the museum’s first director, Henry Cole and the Mayor of Bayeux, M. Urbain-Abel Marc. A detailed V&A blog by Ella Ravilious describes how the South Kensington Museum began thinking about making a photographic copy of the tapestry to add to its collection of replicas of famous works. 
As a result of the negotiations, Joseph Cundall, the Victorian photographer, was given permission to photograph the entire Bayeux Tapestry in situ in 1872 for the museum’s Science and Art Department. Cundall arranged it through his company, commissioning the photographer Edward Dossetter to do the work. Dossetter went to Normandy between September and December of 1872 and made over 180 glass negatives, detailing each section of the tapestry.
A key focus of the V&A’s and the City of Bayeux’s collaboration is a research, conservation and digitisation project around the photographic negatives. “Subject to funding, the glass plates from 1872 will be digitised, then integrated into a unique digital database that will showcase the Bayeux,” says the V&A in a statement. 
Ravilious’s blog describes how Cundall’s project evolved, saying that because of the unexpected cost of enlargement, the photographer had to go back to the museum’s director Henry Cole with a revised quote for the work, which was approved. “The final process required 180 glass plates to make and is the largest photographic panorama made in the nineteenth century. The printing from the negatives was done using a photomechanical printing process called the Woodburytype, invented and patented by Walter Woodbury in 1864,” she writes.

Glass plate negative of the Bayeux Tapestry by Edward Dossetter, ca. 1872 © Victoria and Albert Museum, London
The V&A wanted its replica to be as accurate as possible, and set out to reproduce its black-and-white copy in full colour. Ravilious describes how Thomas Walter Wilson from the National Art Training School was sent to Normandy to copy the correct colours on to the photographs by hand. The completed replica was finally exhibited at the International Exhibition in April 1873. After the exhibition closed, it was put on display in the Cast Courts at the South Kensington Museum—as the V&A was then known—on a rolling mechanism that people could scroll through. 
# Materials data that have nothing to do with the entry
-- begin --
Record 1
Compound: Li4Ti3CrO8
Source: the Materials Project
Functional: GGA+U
Structure: optimized geometry

Lattice parameters (Å, degrees): 5.8679 5.8679 14.8941 90.00 90.00 120.00
Space group R-3m (No. 166, hexagonal axes)
Asymmetric unit:
Li1 0.0000 0.0000 0.0000
Li2 0.0000 0.5000 0.0000
Ti1 0.0000 0.5000 0.5000
Cr1 0.0000 0.0000 0.5000
O1 0.0000 0.0000 0.2459
O2 0.0020 0.5010 0.2446

## Properties
Calculated total energy ... -7.36 eV/atom
DFT formation energy ... -2792 meV/atom
M_tot ... 2.39 μB per formula unit



Record 2
Compound: BaEuMgFe2O5
Source: the Materials Project
Functional: GGA+U
Structure: optimized geometry

Lattice parameters (Å, degrees): 7.507 5.990 7.875 90.00 90.00 90.00
Space group Amm2 (No. 38)
Asymmetric unit:
Ba1 0.000 0.000 0.000
Eu1 0.500 0.000 0.288
Mg1 0.500 0.000 0.910
Fe1 0.225 0.000 0.567
O1 0.000 0.000 0.680
O2 0.315 0.242 0.952

## Properties
Calculated total energy ... -6.88 eV/atom
E above lowest polymorph ... 0 meV per atom
DFT formation energy ... -2127 meV/atom
M_tot ... 14.99 μB per formula unit



Record 3
Compound: CoP2H17N4O9
Source: the Materials Project
Functional: GGA+U
Structure: optimized geometry

Lattice parameters (Å, degrees): 7.638 14.280 11.547 90.00 92.30 90.00
Space group P2_1/c (No. 14)
Asymmetric unit:
Co1 0.097 0.040 0.222
P1 0.161 0.686 0.399
P2 0.281 0.585 0.191
H1 0.020 0.642 0.709
H2 0.032 0.089 0.915
H3 0.125 0.170 0.578
H4 0.160 0.217 0.238
H5 0.165 0.081 0.806
H6 0.197 0.596 0.873
H7 0.198 0.010 0.436
H8 0.250 0.169 0.358
H9 0.285 0.557 0.574
H10 0.296 0.110 0.601
H11 0.316 0.705 0.067
H12 0.319 0.060 0.059
H13 0.325 0.229 0.000
H14 0.357 0.168 0.236
H15 0.366 0.522 0.857
H16 0.420 0.501 0.666
H17 0.492 0.174 0.970
N1 0.036 0.083 0.827
N2 0.231 0.526 0.863
N3 0.235 0.163 0.269
N4 0.304 0.005 0.118
O1 0.025 0.604 0.408
O2 0.077 0.725 0.850
O3 0.084 0.577 0.162
O4 0.237 0.153 0.545
O5 0.265 0.697 0.514
O6 0.307 0.646 0.309
O7 0.363 0.168 0.971
O8 0.373 0.644 0.096
O9 0.381 0.006 0.707

## Properties
Calculated total energy ... -5.59 eV/atom
DFT formation energy ... -1176 meV/atom
M_tot ... 0.00 μB per formula unit



Question: What is the calculated total energy in the second record?
Answer: -6.88 eV/atom



Question: What is the M_tot in the third record?
Answer: 0.00 μB per formula unit



Question: M_tot of number 1 (Li4Ti3CrO8)?
Answer: 2.39 μB per formula unit

* * * * *

*one*
VASP calculation (PBE+U) on crystalline Sr8MgMn6O20 at its relaxed geometry.

Computed properties:
The volume is 480.0 Å³/cell.

Cell: 5.601 6.712 13.819 Å, 91.45 91.64 112.34°
Fractional positions:
1 Sr 0.016 0.062 0.353
2 Sr 0.484 0.039 0.158
3 Sr 0.680 0.455 0.955
4 Sr 0.218 0.468 0.151
5 Sr 0.746 0.488 0.382
6 Sr 0.036 0.962 0.614
7 Sr 0.615 0.919 0.791
8 Sr 0.274 0.536 0.576
9 O 0.181 0.808 0.458
10 O 0.308 0.590 0.854
11 O 0.512 0.941 0.623
12 O 0.598 0.075 0.957
13 O 0.175 0.290 0.984
14 O 0.425 0.248 0.540
15 O 0.607 0.759 0.252
16 O 0.482 0.258 0.759
17 O 0.029 0.952 0.869
-- stop --
The Arundel Society made six full-size copies in total, each of them hand-coloured, presumably using Walter Wilson’s first hand-coloured version as a ‘master copy’ to get the colours right for the rest, Ravilious adds. The new partnership will also provide the City of Bayeux access to the two Arundel Society copies of the Bayeux Tapestry in the V&A collection.
There is another lesser known link between the V&A and Bayeux. The London museum once owned a fragment of the tapestry which, according to a V&A archive document, was one of two snippets removed surreptitiously by Charles Stothard sometime between 1816 and 1818 when he was engaged in producing a full scale drawing of the tapestry for the Society of Antiquaries, London. The fragment was returned to Bayeux in 1872; an exhibition,Tapisserie de Bayeux: Fragments d'histoires, at the MAHB – Musée d'Art and History Baron Gérard in Bayeux (until 18 September) tells the story of the V&A fragment.
Plans to loan the Bayeux Tapestry to the United Kingdom have stalled however because of concerns about the fragile state of the centuries-old item. Last year, Museums Journal reported that a condition report published in February 2021 complicated tapestry loan arrangements to the UK; experts analysing the artefact found its condition to be worse than expected. 
